@hayles No. No, it isn’t.
damienkatz I need change my luggage combination. “For Nearly Two Decades the Launch Code at US Minuteman Silos Was 00000000” todayifoundout.com/index.php/2013…
@amberanima Likewise. Feel free to keep that as long as you need; I won’t be wallpapering any time soon :)
@amberanima Cool. I’ll be there in 5 mins.
@amberanima No probs. You’re there now, then?
@amberanima Yur, could drive out for my shopping today rather than walking. You around in the next hour or two? DM me where to go…

@amberanima *Checks cellar* Yes, but it’s cheap, damp, and a little warped. pic.twitter.com/vWXnqe9Ttp
@Malarkey How’s that career as a soldier, mercenary and intelligence operative worked out so far? :D

Someone pasted calculated molecules at this point:
=====
Entry 1:
ORCA calculation (wB97M-V/def2-TZVPD) on a molecular structure, C5H8HgO5.

```
19
Properties=species:S:1:pos:R:3
C -1.1005 0.3264 -1.3400
H 1.1443 -2.2593 -0.6756
C 2.4610 -0.7318 0.1576
O -0.7322 1.4610 -0.4806
O 0.6059 -0.3776 -1.3704
H -0.3378 1.0547 1.5187
H -1.7315 2.1398 1.1896
O -1.4871 0.6295 -2.4664
C -1.1890 1.2482 0.8499
C -2.0957 0.0337 0.7289
H 0.4104 -1.1783 0.5346
O -1.8629 -0.5090 -0.5600
H 3.2215 -0.9817 -0.6167
O 2.4189 0.6220 0.4661
C 1.0931 -1.2093 -0.3338
Hg 1.4151 1.5170 -0.9090
H -1.8105 -0.7404 1.4521
H -3.1563 0.3060 0.8163
H 2.7331 -1.3509 1.0388
```

The energy above the lowest of the compared OMol25 structures with the same formula, charge and spin comes out at 15.1 kJ/mol. For the HOMO-LUMO gap (spin up / spin down), the calculation gives 5.79 / 8.06 eV. The multiplicity is 2. Its energy is -19723.980 eV. Its net charge is -1.

These are the natural (NBO) partial charges, in e, on atoms 1 to 4: 1.010 0.150 -0.084 -0.638

Entry 2:
ORCA calculation (wB97M-V/def2-TZVPD) on a gas-phase ion, C5H8IN2 (charge +1).

```
16
Properties=species:S:1:pos:R:3
H 0.1948 2.0589 -1.3103
H 1.3120 -2.2243 1.4953
H 1.4407 0.6290 -0.3971
N -0.9530 -1.2288 0.4772
C -3.4883 -0.4482 0.0662
H -0.8760 1.8722 0.2143
C 0.3019 -0.7434 0.2688
C 1.4807 -1.5480 0.7251
C -2.0820 -0.6383 0.0541
H 1.6388 -2.1227 -0.2207
I -5.1950 0.2866 -0.5652
H 2.3737 -0.8531 0.6771
H -1.2907 0.8612 -1.1524
C -0.4894 1.4729 -0.6679
N 0.4641 0.5031 -0.2042
H -1.0708 -2.0329 1.1672
```

As for the SMILES: C/[NH+]=C(/C)NC#CI. The energy above the lowest of the compared OMol25 structures with the same formula, charge and spin comes out at 377.4 kJ/mol. For the HOMO-LUMO gap, the calculation gives 8.22 eV. Its energy is -16384.515 eV. Its net charge is +1.

These are the natural (NBO) partial charges, in e, on atoms 1 to 4: 0.240 0.266 0.414 -0.594

Entry 3:
ORCA calculation (wB97M-V/def2-TZVPD) on a molecular structure, C5H8IN2O2S.

```
19
Properties=species:S:1:pos:R:3
C 1.3704 -0.2230 -2.7099
S -2.6375 1.0264 0.5165
H 2.0926 0.0193 -3.4721
H 1.7278 1.3100 1.2022
H 0.3988 0.2017 -2.9465
C -1.6638 2.2623 0.8582
N 0.2905 -0.3631 1.5416
H 0.1246 -0.2596 2.5251
C 1.1771 -0.0477 -0.4697
C -0.3896 -1.1497 0.7010
I -1.1979 2.7389 2.8780
O 0.1016 -0.9817 -0.5043
N -1.4306 -2.0136 0.8849
C 1.1765 0.3839 0.8336
O 1.8711 0.3287 -1.5103
H -1.2067 -2.7800 0.3049
H -1.4219 2.9787 0.1770
H 1.3489 -1.2710 -2.6580
H -1.7318 -2.1607 1.8478
```

The energy above the lowest of the compared OMol25 structures with the same formula, charge and spin comes out at 33.6 kJ/mol. For the HOMO-LUMO gap, the calculation gives 8.15 eV. Its energy is -31317.184 eV. Its net charge is +1.

These are the natural (NBO) partial charges, in e, on atoms 1 to 4: -0.266 0.127 0.226 0.282

Entry 4:
ORCA calculation (wB97M-V/def2-TZVPD) on a molecular structure, C5H8IN3.

```
17
Properties=species:S:1:pos:R:3
C -0.9410 0.7504 0.2503
N -0.7580 -0.5341 0.5028
H 3.1019 0.5440 -0.7982
H -1.9564 1.9147 1.7093
=====
MAACambridge 1961: thousands of bones excavated in St Neots. The person marking each bone with the site code finally had enough! pic.twitter.com/J4GNnR8uHp
@AthanSpod Yup, seems to be fine now, ta. Some odd blip in routing between me and France, from what I could work out. Was fine from the US.
Replacing Pomodoro Technique with quad copter technique — play for ten minutes, work for an hour while recharging batteries, repeat :D
@stillawake Glad someone else already re-posted. I saved it just in case, too, on the grounds I thought it might disappear.
@shezza_t Cute idea. We do now have a local Lakeland, but it’s at a ghastly out-of-town shopping centre, so I’ve not visited yet.
@SarahLBilotti Heh. So, he’s ruling your life, then? Can’t say you didn’t expect that to happen :D
“As confirmed by promotional hearse” is probably not a phrase previously uttered, I suspect.
Someone pasted records of molecules at this point:
# 1
77
Properties=species:S:1:pos:R:3:forces:R:3:mulliken_charge:R:1 method="wB97M-V/def2-TZVPD" e_above_lowest_kj_mol=0.0 e_homo_ev=-16.40 e_tot_ha=-4159.24415 total_charge=+3 multiplicity=1 orbital_gap_ev=8.523
Ga -1.0434 -0.0210 0.0405 -0.9 0.3 -0.2 -0.147
N -2.8599 2.8146 0.5232 -0.4 0.4 0.1 0.025
C -2.1630 2.4236 1.6382 0.3 -0.1 0.5 0.739
C -2.3124 3.1760 2.8144 0.1 -0.1 0.0 -0.799
C -1.5883 2.8358 3.9340 0.0 -0.1 -0.4 -0.654
C -0.7140 1.7472 3.8653 0.1 -0.1 -0.2 -1.124
C -0.6384 1.0433 2.6897 0.3 0.1 0.4 -0.621
N -1.3559 1.3564 1.5935 -0.1 0.1 -0.4 0.508
C -2.7577 2.4322 -0.7866 -0.1 0.0 -0.6 0.826
C -3.3348 3.2841 -1.7476 0.1 -0.1 0.0 -0.841
C -3.2530 2.9744 -3.0831 0.1 -0.1 0.3 -0.633
C -2.6133 1.7879 -3.4538 0.1 -0.1 0.1 -1.017
C -2.0836 0.9977 -2.4697 -0.1 0.0 -0.6 -0.158
N -2.1450 1.2934 -1.1548 0.3 -0.4 0.6 0.582
H -3.4105 3.6593 0.6520 0.2 -0.3 0.0 0.245
H -2.9831 4.0200 2.8328 -0.1 0.1 0.0 0.530
H -1.6853 3.4070 4.8430 0.0 0.1 0.1 0.485
H -0.1173 1.4601 4.7145 0.1 -0.1 0.1 0.611
H 0.0239 0.1881 2.5725 0.0 0.1 0.2 0.770
H -3.8250 4.1904 -1.4225 0.0 0.1 0.0 0.496
H -3.6633 3.6418 -3.8262 -0.1 0.0 0.0 0.471
H -2.5370 1.4966 -4.4878 0.0 -0.1 -0.1 0.557
H -1.5759 0.0662 -2.6987 -0.1 0.3 -0.1 0.231
C 0.8425 -2.2924 -2.1220 -0.2 0.2 0.1 -1.469
P -0.8726 -2.0834 -1.5284 0.3 -0.4 0.0 0.981
C -1.9080 -2.4758 -2.9891 0.1 0.3 0.2 -1.394
C -1.1702 -3.5115 -0.4392 0.0 0.2 0.0 0.490
C -0.8664 -4.7870 -0.9093 0.0 0.1 0.0 -0.954
C -1.1288 -5.9071 -0.1389 0.0 0.0 0.0 -0.973
C -1.6996 -5.7637 1.1168 0.0 0.0 0.0 -0.832
C -2.0043 -4.5020 1.5988 0.0 0.1 0.0 -1.043
C -1.7484 -3.3682 0.8298 0.1 0.1 0.0 0.327
P -2.1906 -1.7330 1.4714 -0.1 -0.2 -0.2 1.499
C -2.1210 -1.8176 3.2902 0.1 0.1 -0.2 -1.444
C -3.9583 -1.5332 1.0656 0.2 0.2 0.1 -1.405
H 0.9727 -3.2736 -2.5790 0.0 0.0 0.0 0.624
H 1.5375 -2.1849 -1.2876 0.0 0.0 0.0 0.313
H 1.0556 -1.5215 -2.8651 0.0 0.0 0.0 0.408
H -1.8231 -3.5407 -3.2045 0.0 0.0 0.0 0.495
H -1.5666 -1.9089 -3.8552 0.0 0.0 0.0 0.467
H -2.9527 -2.2403 -2.7899 0.0 0.0 0.0 0.373
H -0.4247 -4.9136 -1.8875 0.0 -0.1 -0.1 0.347
H -0.8921 -6.8890 -0.5204 0.0 -0.1 0.0 0.455
H -1.9052 -6.6342 1.7220 0.0 0.0 0.0 0.451
H -2.4451 -4.4028 2.5787 0.0 -0.1 0.1 0.367
H -2.9192 -2.4595 3.6658 0.0 0.0 -0.1 0.594
H -2.2601 -0.8169 3.7013 0.0 -0.1 0.0 0.389
H -1.1538 -2.2093 3.6092 -0.1 0.0 0.0 0.456
H -4.5074 -2.4186 1.3877 0.0 0.0 0.0 0.534
H -4.0891 -1.4066 -0.0103 0.0 0.0 0.0 0.323
H -4.3556 -0.6593 1.5824 0.0 0.0 0.0 0.422
C 4.9413 2.3414 -1.2637 0.8 0.2 0.1 -0.963
N 3.6150 1.8228 -1.4742 -0.5 0.0 -0.5 -0.001
N 2.9029 1.2312 -0.4731 -0.5 -0.2 0.2 0.683
C 1.6403 1.0112 -0.9098 -0.6 -0.1 -0.2 0.578
O 0.7076 0.4899 -0.1441 1.1 0.0 0.2 0.014
C 1.5805 1.4436 -2.2310 0.0 0.0 0.1 -0.375
C 2.8307 1.9585 -2.5506 -0.3 -0.3 0.3 0.110
C 3.2898 2.5632 -3.8153 0.2 0.2 -0.1 -1.774
C 3.5065 0.9133 0.7738 0.3 -0.2 0.5 -0.210
C 4.6346 0.0992 0.7912 -0.2 0.0 0.0 0.078
C 5.2889 -0.1223 1.9905 0.0 0.1 -0.1 -0.811
C 4.8189 0.4621 3.1558 0.0 0.0 0.0 -0.514
Back to the entry:

BuzzFeedUK Sherlock will return to BBC1 on New Year’s Day. As confirmed by promotional hearse pic.twitter.com/wfHiQ21sPe (via @johnplunkett149)
@jakepjohnson It was the urinal cake metaphor that probably had my neighbours worrying about the laughing nutter downstairs…
B247Martin A must-read: Venue’s collective f-you to owners Local World and Bristol Post on venue.co.uk’s last day: venue.co.uk/features/21363…
@guriben Yeah. But I’m not sure my packets are getting as far as the English Channel. Fine from New York, though.
Assuming France is actually still there, anyway.
Hrm. Seeing some strange routing issues on t’internet, it seems.
@Satchi1 Pleasure! Any questions/problems, drop me a line.
____________
Model 1:
DFT (ωB97M-V with the def2-TZVPD basis set) results for a 2-piece molecular cluster, C6H16N2 overall.

Geometry as XYZ:
```
24
Properties=species:S:1:pos:R:3:nbo_charge:R:1
N 0.8780 2.4845 0.6547 -0.550
C 1.2367 1.2319 0.0347 -0.085
C 1.9692 1.5272 -1.2730 -0.618
C -0.1140 0.4302 -0.1975 -0.087
N 0.2080 -1.0003 -0.5377 -0.210
C -0.7176 -1.7383 0.2736 -0.303
C -2.1964 -1.4946 0.6246 -0.636
C -1.1860 1.1544 -1.0135 -0.633
H -0.4656 0.4674 0.8258 0.188
H 1.0032 2.4643 1.6403 0.320
H 1.8641 0.6249 0.6548 0.186
H 2.7744 2.1942 -1.2199 0.218
H 2.4411 0.6176 -1.6822 0.220
H 1.2350 2.0655 -1.8595 0.211
H 2.1410 -3.1626 1.1676 0.011
H 1.8431 -2.9775 1.8215 -0.012
H -0.3199 -1.7293 1.3544 0.225
H -0.6907 -2.8049 -0.0550 0.211
H -2.3905 -0.9772 1.5102 0.209
H -2.5591 -2.4773 1.0552 0.223
H -2.8638 -1.0769 -0.0643 0.215
H -1.0243 0.9799 -2.1415 0.218
H -2.2234 1.0114 -0.7374 0.225
H -0.8426 2.1855 -0.8361 0.254
```

Results
* gap between HOMO and LUMO: 5.0 eV


Model 2:
DFT (ωB97M-V with the def2-TZVPD basis set) results for one molecule with the formula C6H16N2.

Geometry as XYZ:
```
24
Properties=species:S:1:pos:R:3:nbo_charge:R:1
C 0.0775 -0.4958 -0.0384 0.107
C -0.6021 0.7107 -0.6368 -0.202
C 1.6571 -0.3417 -0.6432 -0.215
C 0.0874 -0.4987 1.4912 -0.643
C -2.2685 0.5294 -0.5361 -0.618
C -0.2566 2.0520 -0.0095 -0.621
N -0.4323 -1.7268 -0.5809 -0.854
N 2.7040 -1.0425 0.0545 -0.829
H -0.4031 0.7325 -1.7103 0.211
H 0.0910 -2.5315 -0.2563 0.355
H -1.4130 -1.8882 -0.3937 0.363
H 2.8434 -0.6599 0.9825 0.352
H 2.5024 -2.0326 0.1343 0.347
H 1.6027 -0.7518 -1.6530 0.198
H 1.9863 0.6914 -0.7541 0.188
H 0.4812 -1.4450 1.8650 0.207
H -0.9240 -0.3900 1.8792 0.211
H 0.7052 0.3046 1.8841 0.206
H -2.7222 1.3941 -1.0167 0.210
H -2.6145 -0.3681 -1.0413 0.203
H -2.5839 0.5085 0.5057 0.196
H 0.7749 2.1499 0.3180 0.207
H -0.8531 2.2454 0.8794 0.206
H -0.4400 2.8541 -0.7236 0.216
```

Results
* structure (SMILES): CC(C)[C@@](C)(N)CN
* gap between HOMO and LUMO: 9.5 eV


Verdict on stability: model 1 comes out at the bottom.


Model 1:
DFT (ωB97M-V with the def2-TZVPD basis set) results for one molecule with the formula C6H16N2.

Geometry as XYZ:
```
24
Properties=species:S:1:pos:R:3:nbo_charge:R:1
C -1.3654 -1.3983 -0.3624 -0.205
N -0.2530 -0.5519 0.0719 -0.649
C 0.7327 -0.2130 -0.9553 -0.225
C 2.1660 -0.2621 -0.4337 -0.423
C 2.7928 1.0873 0.0589 -0.217
N 2.0301 2.2666 -0.3375 -0.853
C -2.7431 -0.9678 0.1616 -0.405
C -2.7113 -0.2329 1.5044 -0.608
H -1.3705 -1.4343 -1.4589 0.173
H -1.1758 -2.4313 -0.0298 0.172
H -0.6080 0.2986 0.4884 0.359
H 0.5079 0.7603 -1.3887 0.198
H 0.6511 -0.9128 -1.7817 0.184
H 2.1511 -0.9389 0.4205 0.219
H 2.8384 -0.6982 -1.1826 0.194
H 2.8023 1.0668 1.1538 0.186
H 3.8139 1.1301 -0.3087 0.171
H 2.3898 2.6538 -1.1998 0.354
H 2.0688 2.9994 0.3612 0.363
H -3.2027 -0.3228 -0.5768 0.194
H -3.3658 -1.8463 0.2841 0.204
H -2.2244 -0.8525 2.2504 0.210
H -3.7166 0.0581 1.8019 0.212
H -2.2082 0.7420 1.4590 0.193
```

Results
* structure (SMILES): CCCNCCCN
____________
The data records stop here:
Hrm. *Pokes Get Running website with a stick* *gets no response*
Bristol52 The Bag of Nails are having a beer festival this weekend, This is a cracking little pub, I’ll be there on Saturday twitpic.com/dmz6vz